What to do:
Work out how many lines underneath have the word "C14" in them; a number is enough.

Given:
Computed, not measured: a cluster of 10 separate species, C33H78F3N3O28P4 in total at a distorted geometry, with ωB97M-V/def2-TZVPD.

The SMILES is O=C1OC[C@@H](F)O1.O=C1OC[C@@H](F)O1.O=C1OC[C@@H](F)O1.COP(=O)(OC)OC.COP(=O)(OC)OC.COP(=O)(OC)OC.COP(=O)(OC)OC.COC[C@H](C)N.COC[C@H](C)N.COC[C@H](C)N. The calculation puts the total energy at -5240.307170 a.u.

Bonds (Å) are listed after each position.
CARTESIAN COORDINATES (ANGSTROEM)
1 O 4.7890 -9.1940 -26.4685  C2 1.237
2 C 5.2708 -9.4639 -25.3615  O1 1.237, O3 1.330, O7 1.299
3 O 6.2999 -8.8082 -24.8330  C2 1.330, C4 1.419
4 C 6.2508 -8.9661 -23.4238  O3 1.419, C5 1.544, H8 1.090, H9 1.090
5 C 5.7967 -10.4378 -23.5283  C4 1.544, F6 1.325, O7 1.457, H10 1.090
6 F 5.2586 -10.6614 -22.3382  C5 1.325
7 O 4.7482 -10.3160 -24.5322  C2 1.299, C5 1.457
8 H 7.2314 -9.0922 -22.9650  C4 1.090
9 H 5.4370 -8.3821 -22.9939  C4 1.090
10 H 6.5005 -11.2310 -23.7808  C5 1.090
11 O 4.0094 -8.4652 -18.4884  C12 1.209
12 C 4.5928 -9.1949 -17.7217  O11 1.209, O13 1.382, O17 1.346
13 O 4.6477 -9.1410 -16.3423  C12 1.382, C14 1.450
14 C 5.1735 -10.3516 -15.7426  O13 1.450, C15 1.536, H18 1.090, H19 1.090
15 C 5.5823 -11.0941 -17.0240  C14 1.536, F16 1.305, O17 1.364, H20 1.090
16 F 4.9291 -12.2235 -17.0371  C15 1.305
17 O 5.2154 -10.3293 -18.0917  C12 1.346, C15 1.364
18 H 5.9325 -10.0918 -15.0046  C14 1.090
19 H 4.4564 -10.8704 -15.1066  C14 1.090
20 H 6.6039 -11.4648 -17.1077  C15 1.090
21 O 3.6228 -6.1657 -22.5971  C22 1.236
22 C 2.9304 -7.1560 -22.3356  O21 1.236, O23 1.419, O27 1.396
23 O 1.5318 -7.1821 -22.0961  C22 1.419, C24 1.430
24 C 1.1276 -8.5508 -22.1801  O23 1.430, C25 1.517, H28 1.090, H29 1.090
25 C 2.3499 -9.2696 -21.6419  C24 1.517, F26 1.321, O27 1.389, H30 1.090
26 F 2.3264 -10.4736 -22.1857  C25 1.321
27 O 3.3699 -8.4652 -22.1340  C22 1.396, C25 1.389
28 H 0.2917 -8.7104 -21.4990  C24 1.090
29 H 0.8452 -8.8401 -23.1924  C24 1.090
30 H 2.2722 -9.2529 -20.5548  C25 1.090
31 C 7.6145 -12.7546 -30.8059  O32 1.417, H39 1.090, H40 1.090, H41 1.090
32 O 7.6904 -13.0366 -29.4190  C31 1.417, P33 1.665
33 P 6.5955 -13.8755 -28.4868  O32 1.665, O34 1.487, O35 1.646, O37 1.654
34 O 6.8509 -13.7802 -27.0254  P33 1.487
35 O 5.0731 -13.4506 -28.9463  P33 1.646, C36 1.425
36 C 4.1946 -12.5395 -28.2925  O35 1.425, H42 1.090, H43 1.090, H44 1.090
37 O 6.6399 -15.4196 -29.0770  P33 1.654, C38 1.451
38 C 5.4969 -16.2671 -28.7911  O37 1.451, H45 1.090, H46 1.090, H47 1.090
39 H 8.4863 -12.8856 -31.4470  C31 1.090
40 H 7.2791 -11.7237 -30.9194  C31 1.090
41 H 6.8226 -13.3754 -31.2249  C31 1.090
42 H 3.5343 -13.1924 -27.7217  C36 1.090
43 H 3.8099 -12.0060 -29.1617  C36 1.090
44 H 4.6353 -11.7197 -27.7252  C36 1.090
45 H 4.6423 -15.6349 -28.5500  C38 1.090
46 H 5.7921 -17.0415 -28.0831  C38 1.090
47 H 5.2818 -16.8077 -29.7128  C38 1.090
48 C 7.2710 -5.7138 -21.8828  O49 1.401, H56 1.090, H57 1.090, H58 1.090
49 O 7.7651 -5.6063 -23.1896  C48 1.401, P50 1.668
50 P 9.2320 -4.8541 -23.4403  O49 1.668, O51 1.448, O52 1.644, O54 1.683
51 O 9.3152 -3.5030 -22.9259  P50 1.448
52 O 10.0926 -5.9912 -22.6214  P50 1.644, C53 1.482
53 C 11.5614 -5.8397 -22.4918  O52 1.482, H59 1.090, H60 1.090, H61 1.090
54 O 9.5794 -5.1161 -25.0664  P50 1.683, C55 1.435
55 C 9.0669 -4.3056 -26.1342  O54 1.435, H62 1.090, H63 1.090, H64 1.090
56 H 6.4048 -6.3694 -21.9720  C48 1.090
57 H 7.0632 -4.7786 -21.3629  C48 1.090
58 H 8.0657 -6.2379 -21.3521  C48 1.090
59 H 11.9676 -6.7790 -22.8671  C53 1.090
60 H 11.8432 -5.7406 -21.4436  C53 1.090
61 H 12.0812 -5.0111 -22.9727  C53 1.090
62 H 9.6281 -4.3121 -27.0686  C55 1.090
63 H 9.0614 -3.2670 -25.8034  C55 1.090
64 H 8.0359 -4.5728 -26.3661  C55 1.090
65 C 1.2792 -12.2234 -25.8213  O66 1.416, H73 1.090, H74 1.090, H75 1.090
66 O 0.2881 -11.8855 -26.7752  C65 1.416, P67 1.659
67 P 0.5494 -10.5589 -27.7370  O66 1.659, O68 1.469, O69 1.622, O71 1.649
68 O 1.8288 -10.4578 -28.4515  P67 1.469
69 O -0.7333 -10.5634 -28.7304  P67 1.622, C70 1.489

Outcome:
4